### Given
┌──
For Cs2Mn2HgI6, the PBE geometry in Alexandria gives the calculated powder diffraction line list in this record (Cu Ka).
Peak positions follow from Bragg's law for the DFT cell and can differ from measured ones.

Peak list (6 most intense, 10 to 90 degrees two-theta, sorted by position)
| 2theta | d [Å] | I_rel |
| --- | --- | --- |
| 12.0 | 7.347 | 588 |
| 15.7 | 5.656 | 493 |
| 25.6 | 3.474 | 942 |
| 28.8 | 3.097 | 1000 |
| 29.1 | 3.069 | 722 |
| 31.6 | 2.829 | 441 |

Cell and atoms:
a = 9.115 Å, b = 9.209 Å, c = 9.711 Å
α = 62.34°, β = 62.02°, γ = 76.24°
Fractional coordinates of all 11 atoms:
Cs  0.235  0.233  0.104
Cs  0.765  0.767  0.896
Mn  0.423  0.423  0.529
Mn  0.577  0.577  0.471
Hg  0.000  0.000  0.000
I  0.125  0.492  0.708
I  0.439  0.443  0.251
I  0.498  0.129  0.701
I  0.502  0.871  0.299
I  0.561  0.557  0.749
I  0.875  0.508  0.292

* * * * *

Entry 1:
Mn3P4O16: theoretical powder XRD pattern (Cu Kα), based on a structure optimized by DFT (PBE+U).
Kinematic intensities with the Lorentz-polarization factor, no thermal factor.

Most intense lines, 10° ≤ 2θ ≤ 90°, sorted by position:
16.63°, rel. 100.0
20.68°, rel. 23.2
21.80°, rel. 35.8
23.89°, rel. 63.6
24.87°, rel. 41.9
26.32°, rel. 66.4
31.70°, rel. 39.1
35.85°, rel. 22.2
37.54°, rel. 24.5
40.36°, rel. 18.5

Crystal structure
Unit cell a=7.604 b=7.490 c=10.035 alpha=90.00 beta=93.24 gamma=90.00
Space group P2_1 (No. 4)
One atom of each set of equivalent atoms:
Mn  0.155  0.000  0.320 (multiplicity 2)
Mn  0.266  0.616  0.373 (multiplicity 2)
Mn  0.279  0.655  0.875 (multiplicity 2)
P  0.059  0.810  0.101 (multiplicity 2)
P  0.066  0.846  0.616 (multiplicity 2)
P  0.450  0.465  0.133 (multiplicity 2)
P  0.452  0.436  0.641 (multiplicity 2)
O  0.008  0.006  0.161 (multiplicity 2)
O  0.024  0.526  0.362 (multiplicity 2)
O  0.077  0.199  0.398 (multiplicity 2)
O  0.086  0.182  0.904 (multiplicity 2)
O  0.151  0.844  0.473 (multiplicity 2)
O  0.164  0.832  0.975 (multiplicity 2)
O  0.208  0.783  0.227 (multiplicity 2)
O  0.214  0.794  0.717 (multiplicity 2)
O  0.299  0.509  0.023 (multiplicity 2)
O  0.312  0.496  0.531 (multiplicity 2)
O  0.345  0.441  0.266 (multiplicity 2)
O  0.360  0.458  0.773 (multiplicity 2)
O  0.386  0.065  0.356 (multiplicity 2)
O  0.407  0.097  0.856 (multiplicity 2)
O  0.487  0.744  0.390 (multiplicity 2)
O  0.496  0.763  0.896 (multiplicity 2)

Entry 2:
BaNaPrWO6: theoretical powder XRD pattern (Cu Kα), based on a structure optimized by DFT (PBE+U).
Kinematic intensities with the Lorentz-polarization factor, no thermal factor.

Most intense lines, 10° ≤ 2θ ≤ 90°, sorted by position:
14.68°, rel. 10.3
20.77°, rel. 15.4
20.84°, rel. 7.9
29.57°, rel. 100.0
42.18°, rel. 9.5
42.38°, rel. 18.8
52.39°, rel. 14.5
52.51°, rel. 28.9
61.34°, rel. 11.3
84.81°, rel. 7.6

Crystal structure
Unit cell a=8.525 b=8.537 c=8.569 alpha=90.00 beta=90.00 gamma=90.00
Space group Pnnn (No. 48, origin choice 2)
One atom of each set of equivalent atoms:
Ba  0.250  0.250  0.250 (multiplicity 2)
Ba  0.250  0.250  0.750 (multiplicity 2)
Na  0.250  0.750  0.250 (multiplicity 2)
Na  0.250  0.750  0.750 (multiplicity 2)
Pr  0.000  0.000  0.000 (multiplicity 4)
W  0.000  0.000  0.500 (multiplicity 4)
O  0.023  0.725  0.042 (multiplicity 8)
O  0.030  0.538  0.775 (multiplicity 8)
O  0.227  0.035  0.478 (multiplicity 8)

Entry 3:
Sb2MoO6: theoretical powder XRD pattern (Cu Kα), based on a structure optimized by DFT (PBE+U).
Kinematic intensities with the Lorentz-polarization factor, no thermal factor.

Most intense lines, 10° ≤ 2θ ≤ 90°, sorted by position:
19.80°, rel. 33.4
25.85°, rel. 84.8
26.01°, rel. 99.8
29.17°, rel. 57.5
29.40°, rel. 100.0
32.00°, rel. 41.2
34.93°, rel. 15.8
38.97°, rel. 20.1
47.75°, rel. 17.6
48.32°, rel. 15.7

Crystal structure
Unit cell a=7.665 b=7.699 c=10.341 alpha=69.80 beta=70.23 gamma=83.94
Space group P-1 (No. 2)
One atom of each set of equivalent atoms:
Sb  0.057  0.125  0.174 (multiplicity 2)
Sb  0.132  0.556  0.171 (multiplicity 2)
└──

### Request
Now set down the lines further up from the one with "0.423" to the one with "0.471" without additions.

### Done
Mn  0.423  0.423  0.529
Mn  0.577  0.577  0.471